Physician, Manage Thyself

Having accepted a personal mission when first they donned their white coats, doctors now find it takes business acumen to fulfill that mission. It’s time to hang another diploma...from the Olin School of Business.


“No margin, no mission. If we do not break even or better, we can't fulfill our mission. We have to be responsible stewards of health care resources.”

Ronald Chod, MD

“Having a broader understanding of very important in helping to shape the future of health care.”


Jeff Michalski, MD

Jeff M. Michalski—MD, and EMBA! Michalski is framing both degrees for his office in the new Center for Advanced Medicine.

IN MEDICAL SCHOOL I was taught to care for the patient," observes Jeff M. Michalski, MD. "In business school I was taught to care for thousands of patients."

The distinction that Michalski sums up so succinctly— and the critical need for management skills in medicine— are increasingly noted in the medical community, where growing numbers of physicians and other health care professionals are turning to business education to help them cope with escalating costs and expanding complexities in health care delivery.

"Health care is a trillion-dollar industry, a huge percentage of our gross national product," says Steven B. Miller, MD, associate professor of medicine and Barnes-Jewish Hospital’s vice president and chief medical officer. "But historically it’s been run almost as a cottage industry. It takes much more capable management."

Health professionals have an invaluable partner in the Olin School of Business at Washington University in St. Louis. In collaboration with the School of Medicine, Olin has tailored non-degree programs and a health services management concentration in the executive master of business administration (EMBA) degree program to help doctors and others navigate the business world. Physicians also often pursue an EMBA without the health care focus.

Michalski, an assistant professor of radiation oncology, is clinical director of the division of radiation oncology and medical director of the clinical trials office at the Alvin J. Siteman Cancer Center. As he sees it, physicians must acquire contemporary business skills if they are not to lose control over treatment decisions.

"We need to be just as wary of costs as insurance companies," he says. "If we can work with them to keep costs down, we’ll be much more credible to work with."

Michalski, who completed his EMBA with a health services management concentration in March 2001, is one of a growing number of physicians who are using business tools to achieve new efficiencies and deliver better care. His Olin classes in operations, for instance, have helped him streamline patient services.

"Operations showed me how to deal with sorting people into different queues for different types of treatment, ensuring that physicians can see the types of patients they need to see without schedule conflicts, managing complex groups of individuals." These measures eliminate overlapping services, save time for patients, and improve the bottom line.

Containing costs has an even broader significance, according to Ronald J. Chod, MD, who enrolled in the EMBA program last fall. "Clearly, medical cost inflation is once again escalating," Chod points out. "Simultaneously, the population is aging, new and expensive therapies are evolving, and an increasing number of businesses are walking away from providing health insurance. Yet provision of care is still highly fragmented, and potentially wasteful.

"The economy will only be able to support limited expenditures on health care. It’s going to be extremely important that we harness all of our resources to provide science-based treatments and preventive therapies," Chod continues. "Having a broader understanding of all the business components that are part of health care is very important for helping to shape its future."

Miller puts it very simply. "No margin, no mission," he says. "If we do not break even or better, we can’t fulfill our mission. We have to be responsible stewards of health care resources."

Once a researcher in renal medicine with a productive bench science career, Miller agreed in 1995 to head up the renal network for the newly created BJC hospital system. As it turned out, the decision was the first step on a new professional path.

Miller acquired additional management roles; in 2000, he became vice president and chief medical officer at Barnes-Jewish Hospital, where he oversees 1,500 people and a $150 million budget. He enrolled in the EMBA program to better equip himself for the job.

Chod, an associate professor of obstetrics and gynecology, has management responsibilities as well. He is associate vice chancellor for clinical affairs at the medical school. He holds two additional positions, one as executive director for development of the Faculty Practice Plan and the other as executive director for network development of the Washington University Physicians’ Network. The need for business acumen in those positions is what drew him to the EMBA program.

Chod believes that cost containment will require broader coordination across the health care landscape. "The future of health care requires greater organization of care among physicians and other providers," he says. "Right now, if you’re a patient with multiple medical conditions, your care could be provided by a half dozen to a dozen different physicians.

"Each of those physicians has his own medical records, with redundant, and sometimes conflicting, information. So the fragmented practice of medicine today leads to mistakes and inefficiency."

Chod has found his accounting course especially useful. "Cost accounting and measuring component activities that go into a process help to determine where changes can be made to most efficiently deliver service," he says.

He also is enjoying course work in organizational behavior, as did Michalski. "Organizational behavior skills are critical," Michalski says. "Managing people is the really hard thing. Sometimes you have to make difficult decisions for the sake of the group."

For Miller, perhaps the most important lesson at Olin has been strategic thinking, expanding perspective on problems. "You view things from a position of being opportunistically informed," he says. "You will take advantage of the opportunities, driven by information."

He cited medical records as an example. "By making a strategic decision to spend an extra $1 million last year," he says, "we were able to dramatically decrease our billing cycle. We had to spend extra dollars in coding and chart management, but by spending those extra dollars, we were able to get our bills out the door and improve our cash flow—resulting in a multimillion-dollar benefit."

Skeptics might question the bottom-line business orientation that views people as customers rather than patients. But Michalski argues that medical care would improve if physicians were to adopt a customer-service approach. Waiting-room time would go down, doctors would be more accessible to their patients, services more evenly distributed across a region, rather than concentrated in a huge urban center.

According to Pam Wiese, assistant dean and director of executive MBA programs, the program also teaches health care professionals to spot business trends that will affect their organizations—everything from consolidation in hospital ownership, to the Internet and its creation of both highly educated and often miseducated patients, to outsourcing, to reduced levels of employer health care funding.

The doctors rave about their academic experience at Olin. "The program is everything I hoped it would be and more," observes Chod. Says Miller: "As an academician, it has been interesting for me to learn how another school teaches. The program’s use of Internet resources is very progressive, and the quality of the faculty is phenomenal."

Physicians also are enthusiastic about the program’s team approach. At the outset, students enrolled in either the straight EMBA or the EMBA with a health services management concentration are grouped into teams, which remain together for the program’s duration.

"I have these brilliant teammates," Miller says. In his group are executives from Anheuser-Busch, Monsanto, Emerson and Bass Hotels. "I can learn all sorts of things about operations, service, human resources, accounting —the spectrum of business activities from people who are actually succeeding at it."

The teams also are essential to get the work done, Chod adds. "Different people on the team bring different skills, so if you have a strong finance person and a strong marketing person, you’re complementing yourselves to take the work to a higher level."

Michalski agrees. "We ended up teaching ourselves a lot," he says.

Michalski, unlike Miller and Chod, chose the health services management concentration rather than the straight EMBA, so his class was made up of professionals in pharmacy, hospital administration, nursing and the pharmaceutical industry, as well as physicians. "My class of maybe 30 people included professionals from all walks of health care," he says. "When we talked about things, we’d get 30 different perspectives."

Change in health care delivery is inevitable, these doctors agree. Whether physicians will play a role in shaping those changes is less assured. "The more physicians are able to understand business," Chod asserts, "the better they’ll be able to interact with decision makers. So business education for key physicians should help bring health care to a new level."

A quicker education—“Inside the Business of Medicine”

Olin presents four short, yet in-depth courses—the busy physician’s business study

In this day and age," George M. Cesaretti contends, "you can’t deliver good medicine without being business savvy."

But Cesaretti, assistant dean and director of non-degree executive education at the Olin School of Business, also knows that not every doctor needs an MBA to deliver good care successfully.

Cesaretti and Stephen Kraft, MD, Olin’s director of continuing physician business education, have developed programs for practicing physicians.

The series will help physicians confront questions such as: What does your practice look like as a business––its finance, strategy, structure, organization? What sort of contracts does it hold? How does it negotiate those contracts? Who supplies it? How does it get paid? Who are your partners? Who are your competitors? Topics include:

• Business and Management Strategies for Medical Practice,

• Financial Management for Medical Practice,

• Quality in Health Care, and

• The Art of the Deal: Negotiation and Conflict Resolution Strategies for Physicians and Health Care Providers.

"Each course we’re offering is designed to attack some major facet of the medical practice," Cesaretti says. New courses will follow as the program gathers steam.

Kraft and Cesaretti discovered that practicing physicians have non-course needs as well, so they established a Business of Health Care Journal Club, where members meet to discuss articles and research on current health-related business topics.

Density functional theory data (wB97M-V/def2-TZVPD) for a structure of composition C40H34N4O7P2STi at a distorted geometry.

```
89
Properties=species:S:1:pos:R:3:lowdin_spin:R:1
Ti 0.590 -0.382 0.430 0.902
O 0.638 0.292 4.414 0.015
C 0.952 0.465 3.268 0.005
O 0.240 0.046 2.236 0.021
C 2.193 1.237 2.881 -0.001
C 2.817 1.948 3.900 0.000
C 3.949 2.685 3.616 -0.001
C 4.496 2.744 2.354 0.000
C 3.858 2.045 1.350 -0.001
C 2.724 1.269 1.584 0.000
O 2.185 0.528 0.592 -0.014
N 4.459 2.143 -0.003 0.000
O 3.718 2.085 -0.962 0.000
O 5.657 2.267 -0.054 0.000
N 4.607 3.444 4.705 0.000
O 4.133 3.337 5.811 0.000
O 5.570 4.110 4.403 0.000
H 2.409 1.908 4.900 0.000
H 5.388 3.321 2.153 0.000
C -0.673 3.105 -0.809 0.000
C 0.336 2.277 -1.620 0.004
P -0.509 0.802 -2.374 0.013
C 0.628 -0.615 -2.053 0.013
C 0.018 -1.881 -2.007 0.003
C 0.772 -3.044 -2.121 0.000
C 2.153 -2.963 -2.208 0.005
C 2.783 -1.723 -2.191 0.000
C 2.032 -0.559 -2.126 0.002
C -0.331 1.050 -4.169 0.007
C 0.650 0.495 -4.982 0.000
C 0.663 0.751 -6.346 0.000
C -0.303 1.571 -6.910 0.000
C -1.292 2.125 -6.108 0.000
C -1.314 1.854 -4.750 0.001
C -1.155 2.496 0.523 0.000
P -1.896 0.801 0.489 -0.006
C -2.740 0.614 2.094 -0.002
C -2.592 -0.536 2.858 0.000
C -3.320 -0.709 4.025 0.000
C -4.202 0.274 4.445 0.000
C -4.357 1.431 3.693 0.000
C -3.634 1.594 2.523 0.000
C -3.317 0.898 -0.631 -0.001
C -3.940 2.100 -0.945 0.000
C -5.041 2.120 -1.794 0.000
C -5.529 0.938 -2.326 0.000
C -4.925 -0.271 -1.998 0.000
C -3.827 -0.286 -1.158 0.000
H -1.539 3.323 -1.438 0.000
H -0.216 4.067 -0.566 0.000
H 1.190 1.990 -0.996 0.001
H 0.754 2.879 -2.428 0.000
H -1.068 -1.938 -1.981 0.000
H 0.276 -4.005 -2.148 0.000
H 2.742 -3.865 -2.302 0.000
H 3.860 -1.660 -2.275 0.000
H 2.519 0.406 -2.190 0.000
H 1.418 -0.146 -4.564 0.000
H 1.431 0.312 -6.968 0.000
H -0.292 1.771 -7.972 0.000
H -2.056 2.755 -6.543 0.000
H -2.111 2.264 -4.138 0.000
H -1.883 3.168 0.984 0.000
H -0.319 2.434 1.230 0.000
H -1.877 -1.297 2.567 0.000
H -3.184 -1.604 4.616 0.000
H -4.766 0.141 5.358 0.000
H -5.042 2.202 4.015 0.000
H -3.785 2.496 1.943 0.000
H -3.582 3.034 -0.534 0.000
H -5.516 3.061 -2.032 0.000
H -6.382 0.954 -2.991 0.000
H -5.311 -1.197 -2.400 0.000
H -3.361 -1.235 -0.910 0.000
N 1.117 -7.162 2.265 -0.001
C 2.101 -6.254 2.347 0.000
S 3.590 -6.564 2.911 0.006
C 1.712 -4.855 1.852 0.014
C 0.397 -4.467 1.618 -0.003
C 0.144 -3.185 1.169 0.013
N 1.126 -2.306 0.945 -0.003
C 2.392 -2.658 1.198 0.012
C 2.718 -3.925 1.644 -0.004
H 1.306 -8.094 2.600 0.000
H 0.206 -6.973 1.891 0.000
H -0.456 -5.107 1.792 0.000
H -0.875 -2.863 0.968 0.000
H 3.153 -1.908 1.023 0.000
H 3.748 -4.189 1.838 0.000
```

And the school is offering symposia on health services management issues. One in March addressed mobile commerce in health care.

"Medicine is not on another planet," observes Kraft, an Olin EMBA graduate. "While it does have unique features, it’s not so unique that the laws of business don’t apply. Business education can help you provide better medical care."